Roswell Park Cancer Institute/TobaccoDocuments.orgIn 1990, R.J. Reynolds Tobacco Co. commissioned a marketing strategy for a new brand of cigarette. Aimed at young women 18 to 24 years old, with no education beyond high school, an entry-level job, and little more aspiration than finding a man, the campaign was code-named “VF,” for Virile Female. The VF was Caucasian, related to Roseanne and the “bitches” on the evening soap operas, and wanted to spend her free time “with her boyfriend, doing whatever he is doing.” For fun, she watched tractor pulls and pro wrestling.
Structure and calculated XRD peak list of Ba2CdN2 (a structure optimized by DFT (PBE); Cu Kα (weighted mean of Kα1 and Kα2)).
Intensities are scaled so that the largest is 100.

The 12 most intense peaks (2θ from 10° to 90°), sorted by position:
2θ 28.54, rel. 100; 2θ 29.80, rel. 61; 2θ 38.89, rel. 14; 2θ 42.64, rel. 22; 2θ 49.74, rel. 26; 2θ 52.11, rel. 38; 2θ 59.07, rel. 15; 2θ 64.20, rel. 10; 2θ 70.18, rel. 10; 2θ 80.16, rel. 11; 2θ 83.26, rel. 12; 2θ 85.11, rel. 10

Crystal structure
```
5
Lattice="-2.1203 2.1203 6.9480 2.1203 -2.1203 6.9480 2.1203 2.1203 -6.9480" Properties=species:S:1:pos:R:3 pbc="T T T"
Ba 0.0000 0.0000 2.2411
Ba 0.0000 0.0000 11.6548
Cd 0.0000 0.0000 6.9480
N 0.0000 0.0000 4.8709
N 0.0000 0.0000 9.0251
```


Structure and calculated XRD peak list of Ba3Nb2CdO9 (a structure optimized by DFT (PBE); Cu Kα (weighted mean of Kα1 and Kα2)).
Intensities are scaled so that the largest is 100.

The 12 most intense peaks (2θ from 10° to 90°), sorted by position:
2θ 29.74, rel. 100; 2θ 29.90, rel. 98; 2θ 42.68, rel. 61; 2θ 52.67, rel. 20; 2θ 52.98, rel. 39; 2θ 53.08, rel. 19; 2θ 61.75, rel. 19; 2θ 62.13, rel. 19; 2θ 70.11, rel. 18; 2θ 70.38, rel. 17; 2θ 85.35, rel. 11; 2θ 86.05, rel. 21

Crystal structure
```
15
Lattice="5.9763 0.0000 0.0000 -2.9882 5.1757 0.0000 0.0000 0.0000 7.3793" Properties=species:S:1:pos:R:3 pbc="T T T"
Ba 0.0000 0.0000 0.0000
Ba 0.0000 3.4504 4.9325
Ba 2.9882 1.7252 2.4468
Nb 0.0000 3.4504 1.2537
Nb 2.9882 1.7252 6.1256
Cd 0.0000 0.0000 3.6896
O -1.4941 2.5878 0.0000
O 0.0000 1.8232 2.3170
O -1.4092 4.2640 2.3170
O 1.5790 0.9116 5.0623
O 2.9882 0.0000 0.0000
O 1.4941 2.5878 0.0000
O 1.4092 4.2640 2.3170
O 4.3974 0.9116 5.0623
O 2.9882 3.3524 5.0623
```


Structure and calculated XRD peak list of BaCdO3 (a structure optimized by DFT (PBE); Cu Kα (weighted mean of Kα1 and Kα2)).
Intensities are scaled so that the largest is 100.

The 9 most intense peaks (2θ from 10° to 90°), sorted by position:
2θ 29.36, rel. 100; 2θ 36.16, rel. 3; 2θ 42.00, rel. 31; 2θ 52.07, rel. 40; 2θ 60.90, rel. 19; 2θ 69.03, rel. 17; 2θ 72.92, rel. 1; 2θ 76.73, rel. 6; 2θ 84.20, rel. 21

Crystal structure
```
5
Lattice="4.3027 0.0000 0.0000 0.0000 4.3027 0.0000 0.0000 0.0000 4.3027" Properties=species:S:1:pos:R:3 pbc="T T T"
Ba 0.0000 0.0000 0.0000
Cd 2.1513 2.1513 2.1513
O 0.0000 2.1513 2.1513
O 2.1513 0.0000 2.1513
O 2.1513 2.1513 0.0000
```


Structure and calculated XRD peak list of Ba2CdP3O11 (a structure optimized by DFT (PBE); Cu Kα (weighted mean of Kα1 and Kα2)).
Intensities are scaled so that the largest is 100.

The 12 most intense peaks (2θ from 10° to 90°), sorted by position:
2θ 19.72, rel. 27; 2θ 24.08, rel. 19; 2θ 24.56, rel. 37; 2θ 24.81, rel. 37; 2θ 27.20, rel. 100; 2θ 28.11, rel. 30; 2θ 29.68, rel. 29; 2θ 29.89, rel. 44; 2θ 31.52, rel. 42; 2θ 42.74, rel. 32; 2θ 43.01, rel. 26; 2θ 47.48, rel. 18

Crystal structure
```
17
The ad campaign based on these characteristics would have to walk a fine line: The ideal VF couldn’t be too tough or too submissive, and the visuals would need to combine masculine imagery with a feminine sense of stability. She would be depicted as cool, rebellious, and attitudinal, but in a positive, nonthreatening sense—an updated female counterpart to the Marlboro Man.
When outed, the campaign was vilified and then scrapped. But the Virile Female is back with a vengeance. Today’s VF has grown older, earned her degree, and gotten a Christian makeover, but she’s still an alluring mix of alpha dominance and beta submissiveness. She’s on the other side of the sales pitch now, however, and she’s all about politics. The two most visible spokesmodels and baddest VFs are Michele Bachmann and Sarah Palin. To use a Bachmannism, they are “the tip of the spear” in the battle for America, and they don’t take prisoners.
The unofficial “US 4 Palin” website celebrates the Alaskan VF: “When [former] Governor Palin’s steel was not being forged on the basketball court, the hunting grounds, or the firing range, it was being forged in Bristol Bay’s watery crucible as an employee on Todd Palin’s fishing boat.” She can kick your ass, reel in a 500-pound Chinook salmon—under her husband’s supervision—and put you in her crosshairs before you’ve ordered your first low-fat/no-foam/sissy cappuccino.
• Data records, kept here for reference:
~~~
Computed X-ray diffraction stick pattern
Compound: Na2Y2P2SO12
Radiation: CuKα
Structure: a DFT-relaxed cell (GGA-PBE, the Materials Project)
Lines closer than 0.1° are merged.

Atomic structure:
Cell lengths 9.2507, 9.2507, 9.5214 Å; angles 118.63, 118.63, 60.16 degrees
Fractional coordinates of all 38 atoms:
Na 0.0591 0.9409 0.5000
Na 0.3357 0.8275 0.2428
Na 0.8275 0.3357 0.7428
Na 0.9409 0.0591 0.0000
Y 0.1587 0.6563 0.7904
Y 0.4657 0.9641 0.6890
Y 0.6563 0.1587 0.2904
Y 0.9641 0.4657 0.1890
P 0.0608 0.2572 0.4816
P 0.2572 0.0608 0.9816
P 0.7697 0.8627 0.4953
P 0.8627 0.7697 0.9953
S 0.3620 0.5659 0.4927
S 0.5659 0.3620 0.9927
O 0.0242 0.2824 0.3164
O 0.0313 0.7547 0.9811
O 0.0817 0.2185 0.9953
O 0.1016 0.4142 0.6363
O 0.2097 0.5349 0.3416
O 0.2185 0.0817 0.4953
O 0.2375 0.9011 0.9784
O 0.2824 0.0242 0.8164
O 0.3326 0.5961 0.6454
O 0.3730 0.7264 0.5026
O 0.4142 0.1016 0.1363
O 0.4165 0.5266 0.9785
O 0.5266 0.4165 0.4785
O 0.5349 0.2097 0.8416
O 0.5961 0.3326 0.1454
O 0.5963 0.8873 0.5042
O 0.7037 0.8125 0.8416
O 0.7264 0.3730 0.0026
O 0.7547 0.0313 0.4811
O 0.8125 0.7037 0.3416
O 0.8361 0.9275 0.1575
O 0.8873 0.5963 0.0042
O 0.9011 0.2375 0.4784
O 0.9275 0.8361 0.6575

Principal peaks in the range 10 to 90 degrees two-theta, in order of rising 2θ:
2θ/deg  I (rel.)
13.32  34.8
18.54  47.1
18.66  34.8
19.18  80.5
22.20  68.1
22.32  31.2
26.86  31.8
29.62  100.0
29.78  53.8
33.53  67.5

=====

Theoretical powder diffraction line list
Compound: NaHf2Te4
Radiation: copper Kα
Structure: a PBE-relaxed structure

Crystal structure
a = 7.125 Å, b = 7.125 Å, c = 14.596 Å
α = 90.00°, β = 90.00°, γ = 146.34°
Fractional positions:
Na  0.110  0.890  0.750
Na  0.890  0.110  0.250
Hf  0.368  0.632  0.566
Hf  0.368  0.632  0.934
Hf  0.632  0.368  0.066
Hf  0.632  0.368  0.434
Te  0.000  0.000  0.000
Te  0.000  0.000  0.500
Te  0.274  0.726  0.115
Te  0.274  0.726  0.385
Te  0.436  0.564  0.750
Te  0.564  0.436  0.250
Te  0.726  0.274  0.615
Te  0.726  0.274  0.885

Main lines, by intensity (15 to 90 degrees two-theta):
- 2θ 43.92, I 100
- 2θ 29.88, I 61
- 2θ 31.75, I 55
- 2θ 27.73, I 53
- 2θ 29.23, I 49
- 2θ 22.49, I 45
- 2θ 38.34, I 37
- 2θ 74.89, I 32
- 2θ 33.39, I 29
- 2θ 43.70, I 28
- 2θ 34.67, I 18
- 2θ 52.71, I 18
~~~
The other VF, Michelle Bachmann, often notes that she has a “titanium spine.” But her shiny metallic backbone becomes pliant in the hands of God and her husband.
In a 2006 speech at the Living Word Church, Bachmann said that the Lord led her to Marcus and told her to marry him. The Lord said, “Be submissive,” she said, so she listened to Marcus when he told her to become a tax lawyer. It was the Lord and Marcus who told her to run for the Minnesota Senate and then the US Congress.
The VF solves a problem posited by Simone de Beauvoir in The Second Sex, namely that in endeavoring to escape from the prison of her gender role women create a conflict with the First Sex. “It is with bad grace that the man lets her go,” wrote de Beauvoir. There is no conflict between the VF and her man, however, because she has no interest in escape. The endeavor of VFs like Palin and Bachmann is retrenchment dressed up as progress.
In a recent study of the tea party movement, sociologists Andrew Perrin and Steven Tepper found that a much higher percentage of tea partiers than the general population are concerned about “changes taking place in American society these days.” The VF wants to protect the status quo, not rock boats. She will fight like a mama grizzly if her home hearth is threatened, and her husband makes it known that he’s turned on by his woman’s roar.
The original VF had no more than a high school education. The new VF, as epitomized by Bachmann and Palin, is more educated but remains a standard bearer for a new Know Nothing movement. These modern VFs also inhabit a fact-free zone in which anyone who challenges them hates America. (Call it the VF version of the homecoming queen’s retort: “You hate me because I’m beautiful.”)
Bachmann frequently describes her American bona fides, including a working-class upbringing. That the entitlement-slashing policies she advocates would disproportionately hurt precisely these families is immaterial. Titanium is the new Teflon.
Someone pasted data records at this point
........
Starting from DFT lattice parameters and positions (PBE), the X-ray powder pattern of NaAuO2 was computed for Cu Ka.
No peak broadening, texture or thermal motion is included.

Peak list (6 most intense, 2θ from 5° to 70°, low angle first)
- 2θ 16.3, intensity 100.0
- 2θ 26.2, intensity 47.4
- 2θ 30.1, intensity 44.6
- 2θ 31.9, intensity 30.0
- 2θ 32.9, intensity 70.2
- 2θ 41.2, intensity 42.2

Cell and atoms:
```
data_NaAuO2
_chemical_formula_sum 'Na1 Au1 O2'
_cell_length_a 3.7368
_cell_length_b 3.7368
_cell_length_c 6.2503
_cell_angle_alpha 116.51
_cell_angle_beta 116.51
_cell_angle_gamma 48.47
_space_group_name_H-M_alt 'P 1'
_space_group_IT_number 1
_space_group_name_Hall 'P 1'
loop_
_atom_site_label
_atom_site_type_symbol
_atom_site_fract_x
_atom_site_fract_y
_atom_site_fract_z
_atom_site_occupancy
Na1 Na 0.0000 0.0000 0.0000 1
Au1 Au 0.0000 0.0000 0.5000 1
O1 O 0.4085 0.4085 0.2523 1
O2 O 0.5915 0.5915 0.7477 1
```
........
RJ Reynolds’ VF cigarette brand was the short-lived Dakota, a sleek and soothing presence in a nation struggling with cultural upheaval and economic hard times. In updating the VF role for the 21st century, Bachmann and Palin similarly capitalize on anxiety and resentment. They provide the sensation of control without actually providing it, and, at least where the media are concerned, they’re addictive.